AT&T Audience Network’s excellent comedy Loudermilk boasts many great actors, but when comedian Brian Regan’s character Mugsy was introduced he stole the show.
Under the guidance of recovering alcoholic Loudermilk (Ron Livingston — read our interview with him here), Regan’s character is a remorseful dad, and part of Loudermilk’s motley crew of recovery regulars who meet up for circle time and help each other stay clean and sober.
But when Mugsy reveals his daughter Latte was estranged for eight years, that sends Loudermilk into action.
Regan is an all-time great stand up, never relying on a cheap laugh, insult-driven set or profanity-laced Def Comedy Jam assault. He plays it smart with perfect timing and observational quips nurtured by his own funny beginnings — the product of a tight-knit, solid Irish family that helped shape his suitable-for-all-ages-and-crowds comedic sensibilities.
(Data records, kept here for reference)
1.
This record from Materials Project describes a relaxed ReTeSeCl4 crystal. The functional is PBE-GGA.

Computed properties:
E_tot: -4.38 eV/atom
Magnetic moment: 0.0 μB per formula unit
Energy of formation: -949 meV per atom
V: 30.79 A^3/atom

a = 10.497 Å, b = 10.497 Å, c = 10.497 Å
α = 115.75°, β = 115.75°, γ = 97.53°
Atoms (fractional coordinates):
1 Re 0.558 0.209 0.413
2 Re 0.791 0.204 0.349
3 Re 0.796 0.145 0.587
4 Re 0.855 0.442 0.651
5 Te 0.083 0.668 0.990
6 Te 0.332 0.322 0.415
7 Te 0.678 0.093 0.010
8 Te 0.907 0.917 0.585
9 Se 0.023 0.302 0.628
10 Se 0.605 0.977 0.279
11 Se 0.673 0.395 0.372
12 Se 0.698 0.327 0.721
13 Cl 0.023 0.626 0.166
14 Cl 0.057 0.647 0.702
15 Cl 0.143 0.977 0.604
16 Cl 0.304 0.604 0.063
17 Cl 0.330 0.111 0.128
18 Cl 0.353 0.055 0.411
19 Cl 0.374 0.540 0.396
20 Cl 0.396 0.459 0.701
21 Cl 0.460 0.857 0.834
22 Cl 0.541 0.241 0.937
23 Cl 0.645 0.943 0.589
24 Cl 0.759 0.696 0.299
25 Cl 0.798 0.670 0.782
26 Cl 0.889 0.016 0.218
27 Cl 0.945 0.355 0.298
28 Cl 0.984 0.202 0.872

---

2.
This record from Materials Project describes a relaxed Tl5Re6Se8Cl7 crystal. The functional is PBE-GGA.

Computed properties:
E_tot: -5.60 eV/atom
Magnetic moment: 0.0 μB per formula unit
Energy of formation: -865 meV per atom
V: 26.96 A^3/atom

a = 18.455 Å, b = 18.455 Å, c = 18.455 Å
α = 30.11°, β = 30.11°, γ = 30.11°
Atoms (fractional coordinates):
1 Tl 0.000 0.000 0.000
2 Tl 0.097 0.399 0.795
3 Tl 0.194 0.194 0.194
4 Tl 0.295 0.899 0.597
5 Tl 0.399 0.795 0.097
6 Tl 0.500 0.500 0.500
7 Tl 0.597 0.295 0.899
8 Tl 0.694 0.694 0.694
9 Tl 0.795 0.097 0.399
10 Tl 0.899 0.597 0.295
11 Re 0.009 0.695 0.899
12 Re 0.185 0.295 0.499
13 Re 0.195 0.509 0.399
14 Re 0.295 0.499 0.185
15 Re 0.399 0.195 0.509
16 Re 0.499 0.185 0.295
17 Re 0.509 0.399 0.195
18 Re 0.685 0.999 0.795
19 Re 0.695 0.899 0.009
20 Re 0.795 0.685 0.999
21 Re 0.899 0.009 0.695
22 Re 0.999 0.795 0.685
23 Se 0.094 0.305 0.701
24 Se 0.100 0.493 0.889
25 Se 0.201 0.805 0.594
26 Se 0.288 0.288 0.288
27 Se 0.305 0.701 0.094
28 Se 0.389 0.993 0.600
29 Se 0.406 0.406 0.406
30 Se 0.493 0.889 0.100
31 Se 0.594 0.201 0.805
32 Se 0.600 0.389 0.993
33 Se 0.701 0.094 0.305
34 Se 0.788 0.788 0.788
35 Se 0.805 0.594 0.201
36 Se 0.889 0.100 0.493
37 Se 0.906 0.906 0.906
38 Se 0.993 0.600 0.389
39 Cl 0.105 0.105 0.105
40 Cl 0.198 0.721 0.477
41 Cl 0.218 0.496 0.972
42 Cl 0.221 0.698 0.977
43 Cl 0.472 0.996 0.718
44 Cl 0.477 0.198 0.721
45 Cl 0.496 0.972 0.218
46 Cl 0.605 0.605 0.605
47 Cl 0.698 0.977 0.221
48 Cl 0.718 0.472 0.996
49 Cl 0.721 0.477 0.198
50 Cl 0.972 0.218 0.496
51 Cl 0.977 0.221 0.698
52 Cl 0.996 0.718 0.472

---

3.
This record from Materials Project describes a relaxed TlRe6Se8Cl3 crystal. The functional is PBE-GGA.

Computed properties:
E_tot: -6.70 eV/atom
Magnetic moment: 0.0 μB per formula unit
Energy of formation: -664 meV per atom
V: 24.94 A^3/atom

a = 9.207 Å, b = 9.278 Å, c = 11.228 Å
α = 90.60°, β = 110.07°, γ = 94.20°
Atoms (fractional coordinates):
Luckily, Peter Farrelly, another Irish-American man and Loudermilk’s showrunner and EP, got wind of his act. As we find out in the interview, it sealed the deal for Regan’s marvelous Mugsy to come to life.
We spoke to Brian about his amazing turn on Loudermilk and his coming Netflix comedy special, Nunchucks and Flamethrowers.
Monsters and Critics: I had no idea that you were in Loudermilk, and when I was sent the screeners I was psyched when episode 103 hit and I was like ‘that’s Brian Regan!’.
Brian Regan: Ah, well that’s nice, thank you. I hope you weren’t screaming in horror, I hope it’s a happy surprise. No, no, that’s very nice of you, thank you.
M&C: I see you in a lot of other comedians’ projects, like Seinfeld’s Coffee in Cars and with Chris Rock, so how did Peter Farrelly find you for this role as Mugsy?
Brian Regan: It was very bizarre. I was performing in Jamestown, NY, at the I Love Lucy Comedy Festival. I guess Lucille Ball is from near there, that’s where her hometown is, so they have a comedy festival and Peter Farrelly was there, donating a car from Dumb and Dumber, that big car that looked like a dog, or whatever.
So another comedian, Jackie Flynn, who was also in Loudermilk, is a friend of Peter Farrelly’s and said to him, “you should check out Brian Regans’ show tonight”. And I don’t think Peter Farrelly knew who I was, so they brought him to my show, and then after the show, Peter Farrelly came backstage and had some nice things to say and said he was working on this project and was wondering if I’d be interested in it.
And a lot of times, people just talk and there’s never any follow through. I thought it was sort of like small talk, chit-chat, like wow, this is nice that, you know, he would throw this in, that he’s working on a project.
And he said, you know, “I’ll call you in a couple of days about it” and he’s one of the few people in show-business who called in a couple of days. I’m like, “wow, he said he was going to call, and he did.” I’ve never had that happen before.
So, yeah, he said he was working on this project and thought I might be good for it. And I said, “you know, I don’t really do much acting” and he said, “well from your act, I can tell you’re an actor from what you do in your show.” And I’m like, well, you’re giving me a lot of credit that I don’t yet deserve.
So they sent the sides for the role and I said, “yeah, I’d like to give this a shot”. So they put me in the show. So it was kind of cool.
M&C: It feels like you’re in an improv situation when you’re in the group recovery circle…
Brian Regan: Well, the small group discussions, we shot them all in like a week and three or four of us are characters that have our own storylines, or you know, we have lines. And then the rest are like extras. And Peter Farrelly…when I first started shooting the stuff, I was just kind of sticking to the script and Peter Farrelly took me aside after a few days and said, “I want you to know you can go off-book here man, you know, if you feel a way to be funny, go for it.” And I was like, “okay”.
So I started doing that and little by little, I really started enjoying it. I was like, “good, they didn’t want to me to feel handcuffed to the words on the page.”
I played around a lot and they ended up using some of that stuff. They sent me all ten episodes, so I was able to watch and go, “wow, man, they let me play” so I give Peter Farrelly a lot of credit because I think he trusts that I have some comedic senses, and so he gave me the green light to go off-roading and it’s fun.
M&C: I love your scenes and the name of your daughter…Latte! Is there a story behind all that?
Brian Regan: [Laughs] I don’t know how they came up with that, but you know what was interesting, that was the first scene that I shot. They shot the whole thing like a movie. You know, it’s ten half-hours, so it’s like a five-hour movie and they didn’t necessarily shoot episode one and then episode two.
They just shot the entire thing and cut it up, so the first scene that I shot, was the…my most important scene, where I had to meet my daughter, who I hadn’t seen in like eight years. And I didn’t even know if I could act.
I mean, I flew in that morning. They shot up in Vancouver and I was sleeping on the plane. I land, [then] they’re driving me to the set and I’m literally putting my contacts on in the back of a car. And I get to the set and I have to do this relatively emotional scene where I have to meet my daughter Latte who I haven’t seen in years.
I was nervous. I don’t even know if I know how to act. And when we got there, the scene is the set in a homeless shelter and I swear, when I got there, I couldn’t tell if we were in an actual homeless shelter where they were going to shoot our little scene, or if it was a set made to look like a homeless shelter. I couldn’t tell.
There are all these people around and I didn’t want to ask, “hey, are you an actor or are you really homeless?” You know? And there was a table of food and I couldn’t figure out if that was food for the homeless people here in the shelter…or are we all actors and this is for all of us?
And I didn’t want to ask anybody, so I never ate anything. I had to shoot this scene where I see [my daughter] Latte after eight years and I have no idea if it went well or not. I had no idea. And then, that night, Peter Farrelly called me in the hotel and said, “hey man, why don’t you come down to the bar, let’s have a cocktail?”
I thought he was going to cut me. I thought it didn’t go well. And I went down, nervous, thinking, he’s going to say, “hey man, we gave it a shot, you didn’t quite rise to the occasion.”
And instead, we just had a cocktail and he goes, “hey man, by the way, good job today.” And I was like, wow, I thought I was headed to the airport, man.
M&C: So tell me what happens…how involved does your character get with Ron Livingston’s Loudermilk? How involved does the story arc get and where does Mugsy kind of go in the story?

Brian Regan: My most important episode is the one that already aired. Episode three, that’s the one where I talk about having not seen my daughter and where I meet her and all of that. The other shows go off on other characters and other things.
We’re hoping to get a second season and I’ve heard, like, little rumblings that they might get a second season. If we do, great. And I also feel like they kind of like what I did, so I don’t know for sure but I feel like they kind of want to expand my character a little bit, which would be pretty amazing.
M&C: Your Netflix special, I just watched it, the Nunchucks and Flamethrowers, hilarious. I would love for you tell me about the comedic well-spring that is your family. Your dad and your mom and your siblings and everything, and just the innate humor that you kind of grew up with. Everyone says comics are damaged and they’re angry and this and that. Comedy comes from anger and I don’t feel that way about you. Could you talk about how you buck that trend?
Brian Regan: Well I appreciate you saying that and I also, you know, resist when people say that comedy has to come from only one perspective. I think comedy can come from a number of different perspectives. You know, certainly you can have somebody whose kind of angry at the world and has a chip on his or her shoulder and wants to do comedy through that prism and that’s valid.
But you can also do it from, “hey, this thing called life is pretty damn cool and people, for the most part, are pretty nice.” But you know, there are some jerky people and there are some jerky things that happen and let’s poke a little stick at it, but for the most part it’s a cool ride.
I like that perspective, like a, “hey a win-win. Hey, we’re all riding this together,” but at the end of the day, it’s pretty grand, you know? So I like making people feel good, that’s one thing that I’ve always…I don’t know. I don’t like when people feel bad. I don’t want to do a kind of show where 90 per cent of the people are laughing at the other 10 per cent. I want all 100 per cent laughing. I try to have it come from a perspective of life is a-okay.
M&C: You grew up in Florida, America’s butt of many jokes. I wondered if you had a perspective on that, being from there?
Brian Regan: Well I think that there are so many different kinds of people in Florida, that makes it very bizarre. When you say other states, it’s easier to wrap a characterization around it, even though that’s always unfair to do. But if you think, Wisconsin…you picture a Wisconsin person. You picture Massachusetts, you picture somebody. Florida, it’s hard to picture an individual, there’s just so many different, distinct people.
You have old people from the north who moved down. You have northern Florida, which is like the south, like anybody north of Orlando, is like…that’s like deep south up there. But then you get down to Miami, where you have transplanted New Yorkers, but you also have the Cuban and Haitian population.
So there are so many different kinds of people in Florida from so many different perspectives that it’s a very bizarre place. And so you have, you know, interesting people doing, sometimes, very weird things.
M&C: You’ve played so many different venues, you tour so much, and I just read that you had a performance at Carnegie Hall, which has got to be, like, pretty mind-blowing. Is doing comedy in a huge, kind of, an important venue like that more daunting than like a club, or, do you have a particular favorite venue that you really love performing in?
Brian Regan: Well, I’ve been fortunate for about ten years to have been able to start playing the larger venues. So, I used to do comedy clubs years ago, but the last decade, I’ve mostly been doing one-nighters, theaters and places like that. So, Carnegie Hall is obviously very iconic. You know, it’s not just any theater, but it is a theater.
So for me to be in a room that big is not unusual. I know how to do that. I enjoy doing that, but because of the place being so special, there was definitely a different feel to that particular night. It’s humbling to be backstage and to see a poster that says, “The Beatles Performing at Carnegie Hall,” and then go, “why am I standing here? What happened to me that I’m going out on that stage?”. It’s thrilling.
M&C: When you watch TV, what do you find yourself gravitating towards? What are some of your favorite shows? Any genre.
Brian Regan: I wish I had more time to watch comedies and dramas. I just don’t. When I watch TV, I like to watch the news and I like to watch sports and I like to watch an occasional documentary. But like a series…the last series that I got into, that I had time for, was The Sopranos. And I loved it.
I know there have been a lot of great things that have come and gone, like Breaking Bad and all that, and I can only imagine they were fantastic because everybody says so. My life is so crazy, I don’t have the time to be sitting down and watching something for an hour a week. I just don’t…so I don’t know what’s going on.
M&C: Do you think Kim Jong-un is going to get wind of your latest Netflix special and maybe issue some sort of Korean fatwa on you about your bit on his binoculars?
Brian Regan: [Laughs] Yeah. Now when I’m at airports, I’m extra careful looking around because of what he did…what was it, his stepbrother or whatever? Yeah, I would hope that I’m enough miles away from where he’s not going to be bothered with my handful of jokes! But who knows. We’ll see what happens.
Loudermilk airs new episodes every Tuesday at 10.30pm ET/PT on AT&T’s Audience Network. Brian Regan’s special Nunchucks and Flamethrowers premieres November 21 on Netflix.